Assignment:
Transcribe the rows further down with every line break kept.

Data:
+++
[1]
Computed, not measured: an optimized crystal structure of La8Pd3AuI4 at the PBE level of DFT.

For the raw total energy, the calculation gives -4.964 eV/atom. The uncorrected formation energy is -0.9344 eV per atom.

It has space group R-3m (No. 166, hexagonal axes), with a = 8.7138 Å, b = 8.7138 Å, c = 24.5451 Å, α = 90.00°, β = 90.00° and γ = 120.00°. Symmetry generates all atoms from La at (0.0000, 0.0000, 0.2319), La at (0.0067, 0.5034, 0.7683), Pd at (0.0000, 0.5000, 0.5000), Au at (0.0000, 0.0000, 0.5000), I at (0.0000, 0.0000, 0.0000) and I at (0.0000, 0.5000, 0.0000).


[2]
Computed, not measured: an optimized crystal structure of Ac6CoPt2Au at the PBE level of DFT.

For the raw total energy, the calculation gives -5.335 eV/atom. As for the formation energy: -623.7 meV per atom.

It has space group R3 (No. 146, hexagonal axes), with a = 7.6224 Å, b = 7.6224 Å, c = 21.1749 Å, α = 90.00°, β = 90.00° and γ = 120.00°. Symmetry generates all atoms from Ac at (0.0048, 0.3283, 0.0000), Ac at (0.0099, 0.6994, 0.8407), Co at (0.0000, 0.0000, 0.9269), Pt at (0.0000, 0.0000, 0.2502), Pt at (0.0000, 0.0000, 0.7452) and Au at (0.0000, 0.0000, 0.4275).


[3]
Computed, not measured: an optimized crystal structure of Hf2Al3Ru at the PBE level of DFT.

For the raw total energy, the calculation gives -7.312 eV/atom. As for the formation energy: -576.7 meV per atom.

It has space group R-3m (No. 166, hexagonal axes), with a = 5.2459 Å, b = 5.2459 Å, c = 12.7471 Å, α = 90.00°, β = 90.00° and γ = 120.00°. Symmetry generates all atoms from Hf at (0.0000, 0.0000, 0.1291), Al at (0.0000, 0.5000, 0.0000) and Ru at (0.0000, 0.0000, 0.5000).

=====

# 1
Density functional theory data (PBE-GGA) for a geometry-optimized Na6PtAu2 structure.

a b c (Å): 5.0033 5.0033 10.5146
angles (deg): 76.24 76.24 60.00
Last column: nearest neighbours and their distance in Å.
Positions (direct):
Na 0.5888 0.5888 0.2335  3 Au 2.91, 4 Na 3.24
Na 0.3042 0.3042 0.0874  3 Pt 3.02, 4 Na 3.24
Pt 0.0000 0.0000 0.0000  2 Au 2.71, 6 Na 3.02
Na 0.8083 0.8083 0.5751  4 Au 3.10-3.30, 4 Na 3.26-3.41
Na 0.6958 0.6958 0.9126  3 Pt 3.02, 4 Na 3.24
Au 0.9106 0.9106 0.2681  1 Pt 2.71, 3 Na 2.91
Na 0.1917 0.1917 0.4249  4 Au 3.10-3.30, 4 Na 3.26-3.41
Na 0.4112 0.4112 0.7665  3 Au 2.91, 4 Na 3.24
Au 0.0894 0.0894 0.7319  1 Pt 2.71, 3 Na 2.91

Computed properties:
* calculated total energy: -22.49 eV per formula unit
* symmetry: R-3m (166)
* ΔH_f (0 K): -1.98 eV/f.u.
* density of states at the Fermi level: 3.131 states/eV per cell

=====

# 2
Density functional theory data (PBE-GGA) for a geometry-optimized NaSn3B structure.

a b c (Å): 4.9927 4.9927 4.9927
angles (deg): 90.00 90.00 90.00
Last column: nearest neighbours and their distance in Å.
Positions (direct):
Sn 0.0000 0.5000 0.0000  2 B 2.50
Na 0.5000 0.5000 0.5000  12 Sn 3.53
B 0.0000 0.0000 0.0000  6 Sn 2.50
Sn 0.0000 0.0000 0.5000  2 B 2.50
Sn 0.5000 0.0000 0.0000  2 B 2.50

Computed properties:
* calculated total energy: -17.67 eV per formula unit
* symmetry: Pm-3m (221)
* ΔH_f (0 K): 2.33 eV/f.u.
* energy above the most stable polymorph in this dataset: 0.0 kJ per mole of atoms
* density of states at the Fermi level: 2.988 states/eV per cell

=====

# 3
Density functional theory data (PBE-GGA) for a geometry-optimized TaPt2 structure.

a b c (Å): 4.0218 4.0218 12.3645
angles (deg): 99.36 99.36 90.00
Last column: nearest neighbours and their distance in Å.
Positions (direct):
Pt 0.5009 0.0009 0.0018  4 Ta 2.80-2.83, 8 Pt 2.84-2.90
Ta 0.3317 0.8317 0.6633  10 Pt 2.80-2.85, 2 Ta 2.90
Ta 0.1683 0.6683 0.3367  10 Pt 2.80-2.85, 2 Ta 2.90
Pt 0.4143 0.4143 0.8286  6 Pt 2.76-2.90, 6 Ta 2.83-2.85
Pt 0.9991 0.4991 0.9982  4 Ta 2.80-2.83, 8 Pt 2.84-2.90
Pt 0.7491 0.7491 0.4982  4 Ta 2.80-2.83, 8 Pt 2.84-2.90
Pt 0.8357 0.3357 0.6714  6 Pt 2.76-2.90, 6 Ta 2.83-2.85
Pt 0.5857 0.5857 0.1714  6 Pt 2.76-2.90, 6 Ta 2.83-2.85
Pt 0.6643 0.1643 0.3286  6 Pt 2.76-2.90, 6 Ta 2.83-2.85
Ta 0.0817 0.0817 0.1633  10 Pt 2.80-2.85, 2 Ta 2.90
+++

Done:
[1]
Computed, not measured: an optimized crystal structure of La8Pd3AuI4 at the PBE level of DFT.

For the raw total energy, the calculation gives -4.964 eV/atom. The uncorrected formation energy is -0.9344 eV per atom.

It has space group R-3m (No. 166, hexagonal axes), with a = 8.7138 Å, b = 8.7138 Å, c = 24.5451 Å, α = 90.00°, β = 90.00° and γ = 120.00°. Symmetry generates all atoms from La at (0.0000, 0.0000, 0.2319), La at (0.0067, 0.5034, 0.7683), Pd at (0.0000, 0.5000, 0.5000), Au at (0.0000, 0.0000, 0.5000), I at (0.0000, 0.0000, 0.0000) and I at (0.0000, 0.5000, 0.0000).


[2]
Computed, not measured: an optimized crystal structure of Ac6CoPt2Au at the PBE level of DFT.

For the raw total energy, the calculation gives -5.335 eV/atom. As for the formation energy: -623.7 meV per atom.

It has space group R3 (No. 146, hexagonal axes), with a = 7.6224 Å, b = 7.6224 Å, c = 21.1749 Å, α = 90.00°, β = 90.00° and γ = 120.00°. Symmetry generates all atoms from Ac at (0.0048, 0.3283, 0.0000), Ac at (0.0099, 0.6994, 0.8407), Co at (0.0000, 0.0000, 0.9269), Pt at (0.0000, 0.0000, 0.2502), Pt at (0.0000, 0.0000, 0.7452) and Au at (0.0000, 0.0000, 0.4275).


[3]
Computed, not measured: an optimized crystal structure of Hf2Al3Ru at the PBE level of DFT.

For the raw total energy, the calculation gives -7.312 eV/atom. As for the formation energy: -576.7 meV per atom.

It has space group R-3m (No. 166, hexagonal axes), with a = 5.2459 Å, b = 5.2459 Å, c = 12.7471 Å, α = 90.00°, β = 90.00° and γ = 120.00°. Symmetry generates all atoms from Hf at (0.0000, 0.0000, 0.1291), Al at (0.0000, 0.5000, 0.0000) and Ru at (0.0000, 0.0000, 0.5000).

=====

# 1
Density functional theory data (PBE-GGA) for a geometry-optimized Na6PtAu2 structure.

a b c (Å): 5.0033 5.0033 10.5146
angles (deg): 76.24 76.24 60.00
Last column: nearest neighbours and their distance in Å.
Positions (direct):
Na 0.5888 0.5888 0.2335  3 Au 2.91, 4 Na 3.24
Na 0.3042 0.3042 0.0874  3 Pt 3.02, 4 Na 3.24
Pt 0.0000 0.0000 0.0000  2 Au 2.71, 6 Na 3.02
Na 0.8083 0.8083 0.5751  4 Au 3.10-3.30, 4 Na 3.26-3.41
Na 0.6958 0.6958 0.9126  3 Pt 3.02, 4 Na 3.24
Au 0.9106 0.9106 0.2681  1 Pt 2.71, 3 Na 2.91
Na 0.1917 0.1917 0.4249  4 Au 3.10-3.30, 4 Na 3.26-3.41
Na 0.4112 0.4112 0.7665  3 Au 2.91, 4 Na 3.24
Au 0.0894 0.0894 0.7319  1 Pt 2.71, 3 Na 2.91

Computed properties:
* calculated total energy: -22.49 eV per formula unit
* symmetry: R-3m (166)
* ΔH_f (0 K): -1.98 eV/f.u.
* density of states at the Fermi level: 3.131 states/eV per cell

=====

# 2
Density functional theory data (PBE-GGA) for a geometry-optimized NaSn3B structure.

a b c (Å): 4.9927 4.9927 4.9927
angles (deg): 90.00 90.00 90.00
Last column: nearest neighbours and their distance in Å.
Positions (direct):
Sn 0.0000 0.5000 0.0000  2 B 2.50
Na 0.5000 0.5000 0.5000  12 Sn 3.53
B 0.0000 0.0000 0.0000  6 Sn 2.50
Sn 0.0000 0.0000 0.5000  2 B 2.50
Sn 0.5000 0.0000 0.0000  2 B 2.50

Computed properties:
* calculated total energy: -17.67 eV per formula unit
* symmetry: Pm-3m (221)
* ΔH_f (0 K): 2.33 eV/f.u.
* energy above the most stable polymorph in this dataset: 0.0 kJ per mole of atoms
* density of states at the Fermi level: 2.988 states/eV per cell

=====

# 3
Density functional theory data (PBE-GGA) for a geometry-optimized TaPt2 structure.

a b c (Å): 4.0218 4.0218 12.3645
angles (deg): 99.36 99.36 90.00
Last column: nearest neighbours and their distance in Å.
Positions (direct):
Pt 0.5009 0.0009 0.0018  4 Ta 2.80-2.83, 8 Pt 2.84-2.90
Ta 0.3317 0.8317 0.6633  10 Pt 2.80-2.85, 2 Ta 2.90
Ta 0.1683 0.6683 0.3367  10 Pt 2.80-2.85, 2 Ta 2.90
Pt 0.4143 0.4143 0.8286  6 Pt 2.76-2.90, 6 Ta 2.83-2.85
Pt 0.9991 0.4991 0.9982  4 Ta 2.80-2.83, 8 Pt 2.84-2.90
Pt 0.7491 0.7491 0.4982  4 Ta 2.80-2.83, 8 Pt 2.84-2.90
Pt 0.8357 0.3357 0.6714  6 Pt 2.76-2.90, 6 Ta 2.83-2.85
Pt 0.5857 0.5857 0.1714  6 Pt 2.76-2.90, 6 Ta 2.83-2.85
Pt 0.6643 0.1643 0.3286  6 Pt 2.76-2.90, 6 Ta 2.83-2.85
Ta 0.0817 0.0817 0.1633  10 Pt 2.80-2.85, 2 Ta 2.90